The biggest threat during the Cold War was a nuclear attack by the Soviet Union. However, during those difficult times, the United States came perilously close to nuclear war for a short spell.
On January 23, 1961, the United States nearly avoided a catastrophic disaster when two Mark 39 hydrogen bombs were accidentally dropped over Goldsboro, North Carolina. When a US Air Force B-52 bomber broke apart in mid-flight, the explosives exploded. However, one of the bombs worked just as it should have: its parachute deployed, its trigger mechanisms functioned, and a single low-voltage switch miraculously saved the day.

____________
# 1
ORCA calculation (ωB97M-V with the def2-TZVPD basis set) on a 2-piece molecular cluster, C4H14N2O overall.

Each line ends with the Löwdin charge.
Cartesian coordinates (Å):
C  0.979  0.786  -0.884  -0.133
N  -0.479  0.720  -0.788  -0.138
C  -0.967  -0.074  0.356  -0.247
C  -0.754  -1.576  0.302  -0.193
C  0.616  -2.145  0.699  -0.282
N  0.841  -2.217  2.135  -0.003
H  1.332  1.677  -1.416  0.067
H  1.425  0.731  0.095  0.079
H  1.373  -0.047  -1.486  0.080
H  -0.973  0.512  -1.642  0.107
H  -2.037  0.111  0.332  0.107
H  -0.600  0.511  1.200  0.115
H  -1.085  -1.906  -0.686  0.108
H  -1.544  -2.015  0.931  0.107
H  1.336  -1.435  0.306  0.075
H  0.776  -3.106  0.265  0.100
H  0.378  -1.448  2.581  0.050
H  0.364  -3.022  2.519  0.062
O  -0.305  3.818  -1.609  -0.072
H  -0.095  2.897  -1.398  -0.027
H  -0.395  4.198  -0.726  0.037

Computed properties:
SMILES string: CNCCCN.O
Frontier orbital gap: 9.8 eV
HOMO: -8.88 eV
DFT total energy: -345.51743 Eh
M: 106.17 Da
Energy above the lowest of the compared OMol25 structures with the same formula, charge and spin: 36.9 kcal/mol
Net charge: 0
2S+1: 1

---

# 2
ORCA calculation (ωB97M-V with the def2-TZVPD basis set) on a 2-piece molecular cluster, C4H14N2O overall.

Each line ends with the Löwdin charge.
Cartesian coordinates (Å):
N  -0.512  1.995  -0.631  0.065
C  -1.520  0.648  0.012  -0.173
C  -1.452  -0.285  -1.197  -0.323
N  -2.129  -1.545  -0.894  -0.011
H  0.225  1.912  0.063  0.020
H  -1.186  2.733  -0.461  0.046
H  -1.677  0.072  0.926  0.117
H  -2.390  1.304  -0.013  0.093
H  -2.035  0.224  -1.967  0.108
H  -0.436  -0.384  -1.587  0.104
H  -2.086  -2.162  -1.698  0.064
H  -1.631  -2.045  -0.163  0.065
C  2.707  -1.142  1.107  -0.086
C  2.051  0.160  0.659  -0.341
O  0.668  0.129  0.932  -0.168
H  3.781  -1.043  0.957  0.072
H  2.291  -1.976  0.548  0.072
H  2.531  -1.223  2.179  0.073
H  2.534  0.989  1.194  0.107
H  2.220  0.302  -0.416  0.112
H  -0.013  0.597  0.303  -0.015

Computed properties:
SMILES string: NCCN.CCO
Frontier orbital gap: 10.5 eV
HOMO: -9.51 eV
DFT total energy: -345.41474 Eh
M: 106.17 Da
Energy above the lowest of the compared OMol25 structures with the same formula, charge and spin: 101.3 kcal/mol
Net charge: 0
2S+1: 1

---

# 3
ORCA calculation (ωB97M-V with the def2-TZVPD basis set) on a 2-piece molecular cluster, C4H14N2O overall.

Each line ends with the Löwdin charge.
Cartesian coordinates (Å):
C  -2.707  0.470  1.937  -0.146
N  -2.379  0.403  0.536  -0.135
C  -1.412  -0.592  0.166  -0.251
C  0.070  -0.209  0.473  -0.182
C  0.654  0.579  -0.683  -0.318
N  1.959  1.176  -0.371  -0.013
H  -1.927  0.853  2.595  0.066
H  -2.968  -0.523  2.294  0.078
H  -3.582  1.094  2.098  0.073
H  -2.094  1.301  0.170  0.097
H  -1.492  -0.781  -0.908  0.109
H  -1.601  -1.553  0.632  0.107
H  0.007  0.497  1.308  0.098
H  0.726  -1.013  0.773  0.101
H  0.835  -0.081  -1.530  0.099
H  -0.049  1.341  -1.036  0.107
H  2.473  1.308  -1.240  0.060
H  1.870  2.078  0.073  0.062
____________

“Keep 19,” a Boeing B-52G-95-BW Stratofortress assigned to the 4241st Strategic Wing, was on a 24-hour airborne alert mission off the United States’ Atlantic Coast. The Strategic Air Command flew B-52 bombers equipped with nuclear weapons flying 24 hours a day, seven days a week during the Cold War.
The plane was piloted by Capt. Richard W. Hardin and 1st Lt. Adam C. Mattocks. It was directed by Maj. Walter S. Tulloch of the US Air Force. It was armed with two Mark 39 thermonuclear bombs, each with a 3–4 megaton explosive yield.
The Mark 39 was a two-stage, radiation-implosion thermonuclear bomb developed in 1957 and 1959 that could be detonated by ground contact as an airburst or “lay down.” A system of parachutes would slow the bomb, and it would touch down on its target before detonating, giving the bomber time to get out of the blast zone.
The Mark 39 was a light weapon with a 3.8 megaton explosive yield, 250 times the Hiroshima bomb’s explosive yield and enough to kill everyone and everything within a 17-mile radius.

The B-52 was refuelling in flight from an air tanker only three days after President John F. Kennedy assumed the presidency when the tanker’s crew told Major Tulloch that the B-52’s right wing was leaking fuel. As the B-52 passed above, almost 5,400 gallons (37,000 pounds) of jet fuel spilled in less than three minutes.

Due to the unstable state created by the enormous fuel load, the bomber grew more difficult to control as it descended. Finally, when the bomber’s right wing came off, it lost control, and Major Tulloch ordered the crew to evacuate the endangered aircraft. Before the B-52 exploded, five crew members could escape through the top exit. Regrettably, three crew members were killed in the disaster, which spanned two square miles.
As the B-52 collapsed, the two Mark 39 bombs were discharged. One slammed into a muddy field at about 700 mph, depositing itself 180 feet deep. The parachute on the other bomb landed almost undamaged.

-- These quantum chemistry results were left in the article by mistake --
(1)
C25H38F6MnO3P3S2 | ωB97M-V/def2-TZVPD

Each line ends with the Mulliken charge.
Cartesian coordinates (Å):
Mn (-1.9461, -0.5856, 2.0049)  0.37
C (-3.1372, -1.4316, 3.8835)  -0.92
C (-4.1043, -1.5755, 2.8543)  -0.97
C (-4.6414, -0.3021, 2.5773)  -0.46
C (-4.0182, 0.6287, 3.4352)  -0.66
C (-3.0936, -0.0622, 4.2411)  -0.43
H (-2.6436, -2.2399, 4.3995)  0.53
H (-4.4435, -2.5115, 2.4321)  0.59
H (-5.4023, -0.0840, 1.8387)  0.51
H (-4.2116, 1.6932, 3.4695)  0.50
H (-2.4932, 0.3674, 5.0292)  0.47
C (-1.0299, 2.4566, 0.2687)  -1.27
P (-2.3050, 1.1482, 0.3591)  1.91
C (-3.8368, 2.1289, 0.2032)  -1.43
C (-2.2077, 0.3178, -1.2802)  0.14
C (-2.3355, 1.0757, -2.4432)  -0.64
C (-2.1731, 0.5005, -3.6904)  -0.77
C (-1.8815, -0.8551, -3.7932)  -0.80
C (-1.7799, -1.6249, -2.6485)  -0.51
C (-1.9429, -1.0588, -1.3857)  0.08
P (-1.7581, -2.1206, 0.1088)  1.52
C (-0.2009, -3.0184, -0.1649)  -0.98
C (-3.0091, -3.4159, -0.2132)  -1.50
H (-1.1032, 3.0112, -0.6650)  0.36
H (-0.0463, 1.9937, 0.3347)  0.05
H (-1.1664, 3.1276, 1.1193)  0.49
H (-3.7320, 2.8775, -0.5812)  0.48
H (-4.0326, 2.6247, 1.1553)  0.36
H (-4.6759, 1.4713, -0.0197)  0.35
H (-2.5235, 2.1443, -2.3779)  0.21
H (-2.2494, 1.1114, -4.5822)  0.37
H (-1.7154, -1.3069, -4.7640)  0.37
H (-1.5186, -2.6742, -2.7405)  0.22
H (-0.2530, -3.6498, -1.0520)  0.51
H (0.0061, -3.6340, 0.7137)  0.45
H (0.6096, -2.3000, -0.2901)  -0.23
H (-2.8318, -3.8869, -1.1793)  0.45
H (-4.0088, -2.9785, -0.1929)  0.36
H (-2.9464, -4.1707, 0.5742)  0.43
C (3.9644, 2.2483, -0.5327)  -0.97
C (4.5375, 0.9622, -1.1011)  0.52
C (4.6492, -0.1285, -0.0465)  -1.28
O (3.8115, 0.5581, -2.2916)  -0.42
P (2.5038, -0.4042, -2.3865)  0.31
S (2.9496, -2.3158, -2.3238)  -0.58
S (1.0941, 0.2174, -1.1452)  -0.33
O (2.1361, -0.0837, -3.9311)  -0.42
C (1.9918, 1.1788, -4.6085)  0.68
C (3.3393, 1.5996, -5.1769)  -1.41
C (1.3567, 2.2904, -3.7889)  -0.65
H (4.6365, 2.6292, 0.2451)  0.49
H (2.9828, 2.0680, -0.0954)  -0.01
H (3.8685, 3.0072, -1.3145)  0.23
H (5.5317, 1.1779, -1.4892)  0.23
H (3.6693, -0.3514, 0.3837)  0.09
H (5.3092, 0.2171, 0.7558)  0.51
H (5.0458, -1.0488, -0.4750)  0.35
H (1.3252, 0.9409, -5.4379)  0.34
H (3.9980, 1.9372, -4.3743)  0.16
H (3.2064, 2.4098, -5.9020)  0.46
H (3.8124, 0.7514, -5.6745)  0.34
H (1.9856, 2.5491, -2.9349)  -0.01
H (0.3841, 1.9857, -3.4022)  -0.18
H (1.2389, 3.1749, -4.4250)  0.55
C (0.4071, -1.0395, 5.0576)  -1.88
C (0.8686, -0.7195, 3.6288)  0.76
O (-0.1541, -0.5302, 2.7752)  0.11
C (1.7314, 0.5802, 3.6765)  0.31
F (0.9202, 1.6512, 3.7821)  -0.27
F (2.5645, 0.6241, 4.7421)  -0.33
F (2.4793, 0.7514, 2.5768)  -0.06
C (1.7539, -1.8909, 3.1341)  0.35
F (2.9119, -1.9864, 3.8310)  -0.33
F (2.0528, -1.8042, 1.8423)  0.01
F (1.0889, -3.0616, 3.3110)  -0.30
H (-0.0932, -0.1609, 5.4689)  0.33
H (1.2344, -1.3210, 5.7076)  0.44
H (-0.3114, -1.8549, 5.0010)  0.34

Summary:
- Energy above the lowest of the compared OMol25 structures with the same formula, charge and spin: 0.394 eV
- Spin multiplicity: 6

In the military, an occurrence like this, including the loss of nuclear weapons, is called “Broken Arrow.”
The buried bomb proved challenging to recover, but the ordnance crew was able to recover the majority of the weapon after eight days, including the 92 detonators and conventional explosive “lenses” of the “primary,” the first stage implosion component. In addition, the weapon’s uranium-235/plutonium-239 “pit,” or core, was recovered on January 29. However, the “secondary” was never located.